_Job_
Next, retype all of the entries further below word for word.

_Input_
+++
A | # MgH3Ir2

An optimized crystal structure of MgH3Ir2 (GGA-PBE, the Alexandria database).

## Properties
- density (g/cm3) = 11.0

The structure in CIF format:
```
data_MgH3Ir2
_symmetry_space_group_name_H-M 'P 1'
_symmetry_Int_Tables_number 1
_cell_length_a 2.858
_cell_length_b 4.719
_cell_length_c 5.318
_cell_angle_alpha 65.60
_cell_angle_beta 74.43
_cell_angle_gamma 89.89
loop_
_symmetry_equiv_pos_as_xyz
'x,y,z'
loop_
_atom_site_label
_atom_site_type_symbol
_atom_site_fract_x
_atom_site_fract_y
_atom_site_fract_z
_atom_site_occupancy
Mg1 Mg 0.000 0.000 0.000 1
H1 H 0.174 0.783 0.651 1
H2 H 0.387 0.308 0.229 1
H3 H 0.758 0.296 0.489 1
Ir1 Ir 0.285 0.531 0.432 1
Ir2 Ir 0.569 0.553 0.864 1
```

B | # MgH3Ir2

An optimized crystal structure of MgH3Ir2 (GGA-PBE, the Alexandria database).

## Properties
- density (g/cm3) = 11.4

The structure in CIF format:
```
data_MgH3Ir2
_symmetry_space_group_name_H-M 'P 1'
_symmetry_Int_Tables_number 1
_cell_length_a 2.782
_cell_length_b 4.159
_cell_length_c 5.393
_cell_angle_alpha 92.77
_cell_angle_beta 104.86
_cell_angle_gamma 90.05
loop_
_symmetry_equiv_pos_as_xyz
'x,y,z'
loop_
_atom_site_label
_atom_site_type_symbol
_atom_site_fract_x
_atom_site_fract_y
_atom_site_fract_z
_atom_site_occupancy
Mg1 Mg 0.000 0.000 0.000 1
H1 H 0.044 0.505 0.083 1
H2 H 0.365 0.740 0.728 1
H3 H 0.829 0.277 0.654 1
Ir1 Ir 0.270 0.036 0.536 1
Ir2 Ir 0.649 0.532 0.294 1
```

C | # MgH3Ir2

An optimized crystal structure of MgH3Ir2 (GGA-PBE, the Alexandria database).

## Properties
- density (g/cm3) = 11.3

The structure in CIF format:
```
data_MgH3Ir2
_symmetry_space_group_name_H-M 'P 1'
_symmetry_Int_Tables_number 1
_cell_length_a 2.811
_cell_length_b 3.792
_cell_length_c 5.686
_cell_angle_alpha 90.18
_cell_angle_beta 90.13
_cell_angle_gamma 90.01
loop_
_symmetry_equiv_pos_as_xyz
'x,y,z'
loop_
_atom_site_label
_atom_site_type_symbol
_atom_site_fract_x
_atom_site_fract_y
_atom_site_fract_z
_atom_site_occupancy
Mg1 Mg 0.000 0.000 0.000 1
H1 H 0.004 0.640 0.666 1
H2 H 0.501 0.460 0.976 1
H3 H 0.504 0.127 0.685 1
Ir1 Ir 0.003 0.999 0.513 1
Ir2 Ir 0.502 0.512 0.257 1
```

Most favorable structure: A. The second most favorable one is 11 meV/atom above it.

A | # MgH3Ir2

An optimized crystal structure of MgH3Ir2 (GGA-PBE, the Alexandria database).

## Properties
- density (g/cm3) = 11.2

The structure in CIF format:
```
data_MgH3Ir2
_symmetry_space_group_name_H-M 'P 1'
_symmetry_Int_Tables_number 1
_cell_length_a 2.802
_cell_length_b 4.350
_cell_length_c 5.008
_cell_angle_alpha 90.00
_cell_angle_beta 90.29
_cell_angle_gamma 90.00
loop_
_symmetry_equiv_pos_as_xyz
'x,y,z'
loop_
_atom_site_label
_atom_site_type_symbol
_atom_site_fract_x
_atom_site_fract_y
_atom_site_fract_z
_atom_site_occupancy
Mg1 Mg 0.000 0.000 0.000 1
H1 H 0.490 0.500 0.118 1
H2 H 0.498 0.274 0.747 1
H3 H 0.498 0.726 0.747 1
Ir1 Ir 0.495 0.000 0.525 1
Ir2 Ir 0.993 0.500 0.334 1
```

B | # MgH3Ir2

An optimized crystal structure of MgH3Ir2 (GGA-PBE, the Alexandria database).

## Properties
- density (g/cm3) = 11.9

The structure in CIF format:
```
data_MgH3Ir2
_symmetry_space_group_name_H-M 'P 1'
_symmetry_Int_Tables_number 1
_cell_length_a 3.019
_cell_length_b 3.019
_cell_length_c 6.300
_cell_angle_alpha 90.00
_cell_angle_beta 90.00
_cell_angle_gamma 90.00
loop_
_symmetry_equiv_pos_as_xyz
'x,y,z'
loop_
_atom_site_label
_atom_site_type_symbol
_atom_site_fract_x
_atom_site_fract_y
_atom_site_fract_z
_atom_site_occupancy
Mg1 Mg 0.000 0.000 0.000 1
H1 H 0.000 0.500 0.704 1
H2 H 0.500 0.000 0.704 1
H3 H 0.500 0.500 0.000 1
Ir1 Ir 0.000 0.000 0.562 1
Ir2 Ir 0.500 0.500 0.258 1
```

C | # MgH3Ir2

An optimized crystal structure of MgH3Ir2 (GGA-PBE, the Alexandria database).

## Properties
- density (g/cm3) = 11.3

The structure in CIF format:
```
data_MgH3Ir2
_symmetry_space_group_name_H-M 'P 1'
_symmetry_Int_Tables_number 1
_cell_length_a 9.951
_cell_length_b 2.807
_cell_length_c 4.780
_cell_angle_alpha 90.00
_cell_angle_beta 114.94
+++

_Response_
A | # MgH3Ir2

An optimized crystal structure of MgH3Ir2 (GGA-PBE, the Alexandria database).

## Properties
- density (g/cm3) = 11.0

The structure in CIF format:
```
data_MgH3Ir2
_symmetry_space_group_name_H-M 'P 1'
_symmetry_Int_Tables_number 1
_cell_length_a 2.858
_cell_length_b 4.719
_cell_length_c 5.318
_cell_angle_alpha 65.60
_cell_angle_beta 74.43
_cell_angle_gamma 89.89
loop_
_symmetry_equiv_pos_as_xyz
'x,y,z'
loop_
_atom_site_label
_atom_site_type_symbol
_atom_site_fract_x
_atom_site_fract_y
_atom_site_fract_z
_atom_site_occupancy
Mg1 Mg 0.000 0.000 0.000 1
H1 H 0.174 0.783 0.651 1
H2 H 0.387 0.308 0.229 1
H3 H 0.758 0.296 0.489 1
Ir1 Ir 0.285 0.531 0.432 1
Ir2 Ir 0.569 0.553 0.864 1
```

B | # MgH3Ir2

An optimized crystal structure of MgH3Ir2 (GGA-PBE, the Alexandria database).

## Properties
- density (g/cm3) = 11.4

The structure in CIF format:
```
data_MgH3Ir2
_symmetry_space_group_name_H-M 'P 1'
_symmetry_Int_Tables_number 1
_cell_length_a 2.782
_cell_length_b 4.159
_cell_length_c 5.393
_cell_angle_alpha 92.77
_cell_angle_beta 104.86
_cell_angle_gamma 90.05
loop_
_symmetry_equiv_pos_as_xyz
'x,y,z'
loop_
_atom_site_label
_atom_site_type_symbol
_atom_site_fract_x
_atom_site_fract_y
_atom_site_fract_z
_atom_site_occupancy
Mg1 Mg 0.000 0.000 0.000 1
H1 H 0.044 0.505 0.083 1
H2 H 0.365 0.740 0.728 1
H3 H 0.829 0.277 0.654 1
Ir1 Ir 0.270 0.036 0.536 1
Ir2 Ir 0.649 0.532 0.294 1
```

C | # MgH3Ir2

An optimized crystal structure of MgH3Ir2 (GGA-PBE, the Alexandria database).

## Properties
- density (g/cm3) = 11.3

The structure in CIF format:
```
data_MgH3Ir2
_symmetry_space_group_name_H-M 'P 1'
_symmetry_Int_Tables_number 1
_cell_length_a 2.811
_cell_length_b 3.792
_cell_length_c 5.686
_cell_angle_alpha 90.18
_cell_angle_beta 90.13
_cell_angle_gamma 90.01
loop_
_symmetry_equiv_pos_as_xyz
'x,y,z'
loop_
_atom_site_label
_atom_site_type_symbol
_atom_site_fract_x
_atom_site_fract_y
_atom_site_fract_z
_atom_site_occupancy
Mg1 Mg 0.000 0.000 0.000 1
H1 H 0.004 0.640 0.666 1
H2 H 0.501 0.460 0.976 1
H3 H 0.504 0.127 0.685 1
Ir1 Ir 0.003 0.999 0.513 1
Ir2 Ir 0.502 0.512 0.257 1
```

Most favorable structure: A. The second most favorable one is 11 meV/atom above it.

A | # MgH3Ir2

An optimized crystal structure of MgH3Ir2 (GGA-PBE, the Alexandria database).

## Properties
- density (g/cm3) = 11.2

The structure in CIF format:
```
data_MgH3Ir2
_symmetry_space_group_name_H-M 'P 1'
_symmetry_Int_Tables_number 1
_cell_length_a 2.802
_cell_length_b 4.350
_cell_length_c 5.008
_cell_angle_alpha 90.00
_cell_angle_beta 90.29
_cell_angle_gamma 90.00
loop_
_symmetry_equiv_pos_as_xyz
'x,y,z'
loop_
_atom_site_label
_atom_site_type_symbol
_atom_site_fract_x
_atom_site_fract_y
_atom_site_fract_z
_atom_site_occupancy
Mg1 Mg 0.000 0.000 0.000 1
H1 H 0.490 0.500 0.118 1
H2 H 0.498 0.274 0.747 1
H3 H 0.498 0.726 0.747 1
Ir1 Ir 0.495 0.000 0.525 1
Ir2 Ir 0.993 0.500 0.334 1
```

B | # MgH3Ir2

An optimized crystal structure of MgH3Ir2 (GGA-PBE, the Alexandria database).

## Properties
- density (g/cm3) = 11.9

The structure in CIF format:
```
data_MgH3Ir2
_symmetry_space_group_name_H-M 'P 1'
_symmetry_Int_Tables_number 1
_cell_length_a 3.019
_cell_length_b 3.019
_cell_length_c 6.300
_cell_angle_alpha 90.00
_cell_angle_beta 90.00
_cell_angle_gamma 90.00
loop_
_symmetry_equiv_pos_as_xyz
'x,y,z'
loop_
_atom_site_label
_atom_site_type_symbol
_atom_site_fract_x
_atom_site_fract_y
_atom_site_fract_z
_atom_site_occupancy
Mg1 Mg 0.000 0.000 0.000 1
H1 H 0.000 0.500 0.704 1
H2 H 0.500 0.000 0.704 1
H3 H 0.500 0.500 0.000 1
Ir1 Ir 0.000 0.000 0.562 1
Ir2 Ir 0.500 0.500 0.258 1
```

C | # MgH3Ir2

An optimized crystal structure of MgH3Ir2 (GGA-PBE, the Alexandria database).

## Properties
- density (g/cm3) = 11.3

The structure in CIF format:
```
data_MgH3Ir2
_symmetry_space_group_name_H-M 'P 1'
_symmetry_Int_Tables_number 1
_cell_length_a 9.951
_cell_length_b 2.807
_cell_length_c 4.780
_cell_angle_alpha 90.00
_cell_angle_beta 114.94